• a ray of sunshine 一缕阳光

== Next to the text, the page also holds materials data ==
Here is a relaxed NiTe2Os crystal from the Alexandria database. Energies are from PBE.

Lattice parameters (Å, degrees): 3.9333 3.9333 6.6352 77.04 77.04 51.12
Fractional positions:
Ni: 0.2500 0.2500 0.2500
Os: 0.7500 0.7500 0.7500
Te: 0.9969 0.9969 0.0034
Te: 0.5031 0.5031 0.4966

Properties
ΔE_f (raw) = 443 meV per atom
Distance to the lowest polymorph of the same formula = 5.674 kcal/mol of atoms
Density = 10.8 Mg/m³
Final energy = -5.38 eV/atom

---

Here is a relaxed Ni4TeOs crystal from the Alexandria database. Energies are from PBE.

Lattice parameters (Å, degrees): 4.8100 4.8100 4.8100 60.00 60.00 60.00
Each line ends with the local moment (μB).
Fractional positions:
Ni: 0.8720 0.3760 0.3760  0.38
Ni: 0.3760 0.3760 0.8720  0.38
Ni: 0.3760 0.8720 0.3760  0.38
Ni: 0.3760 0.3760 0.3760  0.38
Te: 0.0000 0.0000 0.0000  -0.01
Os: 0.7500 0.7500 0.7500  0.67

Properties
ΔE_f (raw) = 394 meV per atom
Density = 11.7 Mg/m³
Final energy = -5.86 eV/atom

---

Here is a relaxed NiTe2Os crystal from the Alexandria database. Energies are from PBE.

Lattice parameters (Å, degrees): 3.9498 3.9498 6.9086 73.44 73.44 60.03
Each line ends with the local moment (μB).
Fractional positions:
Ni: 0.4869 0.4869 0.5388  0.13
Os: 0.7733 0.7733 0.6802  0.43
Te: 0.0303 0.0303 0.9108  -0.01
Te: 0.2095 0.2095 0.3702  0.02

Properties
ΔE_f (raw) = 197 meV per atom
Distance to the lowest polymorph of the same formula = 0.000 kcal/mol of atoms
Density = 9.5 Mg/m³
Final energy = -5.63 eV/atom

---

Here is a relaxed NiTe2Os crystal from the Alexandria database. Energies are from PBE.

Lattice parameters (Å, degrees): 8.1016 8.1016 8.1016 27.55 27.55 27.55
Each line ends with the local moment (μB).
Fractional positions:
Ni: 0.0000 0.0000 0.0000  0.55
Te: 0.8961 0.8961 0.8961  0.02
Te: 0.1039 0.1039 0.1039  0.02
Os: 0.5000 0.5000 0.5000  0.19

Properties
ΔE_f (raw) = 503 meV per atom
Distance to the lowest polymorph of the same formula = 7.046 kcal/mol of atoms
Density = 8.3 Mg/m³
Final energy = -5.32 eV/atom

---

Here is a relaxed NiTe2Os crystal from the Alexandria database. Energies are from PBE.

Lattice parameters (Å, degrees): 4.1965 4.5651 4.5545 68.92 90.00 90.00
Fractional positions:
Ni: 0.0000 0.5237 0.5251
Os: 0.5000 0.7128 0.7111
Te: 0.0000 0.9330 0.9337
Te: 0.5000 0.3305 0.3300

Properties
ΔE_f (raw) = 295 meV per atom
Distance to the lowest polymorph of the same formula = 2.249 kcal/mol of atoms
Density = 10.3 Mg/m³
Final energy = -5.53 eV/atom

---

Here is a relaxed NiTeOs crystal from the Alexandria database. Energies are from PBE.

Lattice parameters (Å, degrees): 3.9362 3.9221 8.3748 90.00 90.00 120.12
Each line ends with the local moment (μB).
Fractional positions:
Ni: 0.6109 0.2219 0.0000  0.47
Ni: 0.2807 0.5615 0.5000  0.04
Te: 0.6109 0.2218 0.3101  0.00
Te: 0.6109 0.2218 0.6899  0.00
Os: 0.2766 0.5531 0.8462  0.34
Os: 0.2766 0.5531 0.1538  0.34

Properties
ΔE_f (raw) = 554 meV per atom

    21-08-13 A ray of sunshine 用于形容某人或事在艰苦、困难的情况下给他人带来欢乐和希望,就像一缕阳光。 例句 After failing both my exams, going to see my mum has provided a ray of sunshine. Its been a really terrible few days, but hes been like a ray of sunshine...

  • to eat your words 承认自己说错了话

    21-06-29 俗话说说出去的话,泼出去的水,人们用这个说法比喻说出去的话就像泼出去的水一样难以收回。在英语里,如果某人说错了话,想收回去,那么就可以形象地用eat your words 吃掉说出的话来承认自己说错了话。 例句 I used to think that Louise was mean, but I had to eat...

  • 坐过山车的刺激和狂叫

    21-03-10 Do you scream on a roller coaster ride? You slowly climb up a steep slope until an almost vertical drop, and then... Ahhhhhhhh! Thrill-seekers like me are in luck because theme parks are pushing the boundaries of technology to create the fastest, ta...

  • 优步泄露男子出轨行踪遭起诉

    17-02-20 A businessman in southern France is suing ride-hailing company Uber over his wifes discovery of rides he took to see his lover, his lawyer said. 法国南部一名商人的律师表示,其客户将向法庭起诉叫车公司优步,因为优步的应用程序导致他的太太发现了他和情人...

  • professional snuggler 职业陪睡师

    15-12-28 The joy of sleeping with a beautiful partner -- and we mean the sleeping part -- is something many of us don't get to experience on a regular enough basis. 和漂亮的伴侣共眠的乐趣指的是睡觉本身,并不是我们多数人可以常常经历的。 But what about the lad...

  • onboarding 适职,熟悉产品

    15-11-18 Onboarding refers to the action or process of integrating a new employee into an organization or familiarizing a new customer or client with one's products or services. Onboarding(适职/熟悉产品)是指让新员工融入公司组织的行为或让新顾客和新客户熟悉...

  • 法律英语:Lawyer 律师

    14-11-25 A lawyer shall not represent both parties involved in the same case. 律师不得在同一案件中,为双方当事人担任代理。 A lawyer should assist in maintaining the integrity and competence of the legal profession. 律师应该帮助维护律师界的正直和业务能力。 A...

  • How much English can you speak?

Someone pasted materials data at this point =
+++
SrTaGe2Te, relaxed, DFT PBE; symmetry = No. 123; formation energy from raw total energies = 1.85 eV per atom
1.0
5.469 0.000 0.000
0.000 5.255 0.000
0.000 0.000 5.469
Sr Ge Te Ta
1 2 1 1
direct
0.000 0.000 0.000
0.000 0.000 0.500
0.500 0.000 0.000
0.500 0.500 0.500
0.000 0.500 0.000

---

Na3CeSc2Te6, relaxed, DFT PBE; symmetry = No. 12; formation energy from raw total energies = -1.20 eV per atom
1.0
-2.438 -3.954 -5.933
0.852 -3.370 6.686
-6.584 4.184 1.523
Na Ce Sc Te
3 1 2 6
direct
0.160 0.840 0.500
0.840 0.160 0.500
0.500 0.500 0.500
0.000 0.000 0.000
0.332 0.668 0.000
0.668 0.332 0.000
0.924 0.572 0.774
0.723 0.723 0.225
0.076 0.428 0.226
0.572 0.924 0.774
0.277 0.277 0.775
0.428 0.076 0.226

---

ZnReNi, relaxed, DFT PBE; energy of formation from the pure elements = 0.022 eV per atom; symmetry = No. 5
1.0
-0.204 -1.642 4.840
-3.161 -3.098 -1.185
5.072 -3.185 -5.204
Zn Re Ni
4 4 4
direct
0.000 0.777 0.000
0.000 0.277 0.500
0.500 0.445 0.500
0.500 0.945 0.000
0.498 0.441 0.166
0.502 0.441 0.834
0.498 0.941 0.666
0.502 0.941 0.334
0.999 0.278 0.165
0.001 0.278 0.835
0.999 0.778 0.665
0.001 0.778 0.335

---

Ca2SmHo, relaxed, DFT PBE; energy of formation from the pure elements = 0.167 eV per atom; symmetry = No. 123
1.0
5.581 0.000 0.000
0.000 5.066 0.000
0.000 0.000 5.066
Ca Ho Sm
2 1 1
direct
0.000 0.000 0.500
0.000 0.500 0.000
0.500 0.500 0.500
0.500 0.000 0.000

---

Ce3Y2PuSe6, relaxed, DFT PBE; symmetry = No. 12; formation energy from raw total energies = -1.77 eV per atom
1.0
4.136 0.000 0.000
0.000 8.358 0.258
-2.068 -2.448 8.742
Ce Y Pu Se
3 2 1 6
direct
0.500 0.500 0.000
0.834 0.167 0.668
0.166 0.833 0.332
0.834 0.668 0.668
0.166 0.332 0.332
0.500 0.000 0.000
0.334 0.910 0.669
0.669 0.577 0.339
0.666 0.090 0.331
0.002 0.247 0.005
0.998 0.753 0.995
0.331 0.423 0.661

---

Sr2InSn4Pd3, relaxed, DFT PBE; energy of formation from the pure elements = -0.623 eV per atom; symmetry = No. 115
1.0
4.584 0.000 0.000
0.000 4.584 0.000
0.000 0.000 11.783
Sr In Sn Pd
2 1 4 3
direct
0.500 0.000 0.245
0.000 0.500 0.755
0.500 0.500 0.500
0.500 0.500 0.000
0.000 0.000 0.000
0.500 0.000 0.646
0.000 0.500 0.354
0.000 0.000 0.500
0.500 0.000 0.872
0.000 0.500 0.128

---

PmPrPd10, relaxed, DFT PBE; energy of formation from the pure elements = -0.521 eV per atom; symmetry = No. 47
1.0
-4.194 1.035 -1.260
-1.823 -1.548 4.799
1.160 8.621 3.221
Pm Pr Pd
+++

    14-05-19 Your Honor, I want to bring to your attention how unfair it is for my client to be accused of theft. He arrived in New York City a week ago and barely knew his way around. What's more, he only speaks a few words of English. The judge looked at the d...

  • 《惊杀大阴谋》一

    13-01-09 片段对白 Frederick Aiken: Sir. Reverdy Johnson: Well, nice of you to show, Mr. Aiken. Frederick Aiken: I'm sorry for being late, Senator. Reverdy Johnson: You aware the trial of the conspirators begins today? Frederick Aiken: Yes, sir. There's not a...

  • Good News and Bad News

Misplaced crystal structures:
+++
(1)
Here is crystalline SrH2Cl2O at its relaxed geometry from Alexandria via LeMat-Bulk. Energies are from PBE.

Summary:
total DFT energy (no corrections)	-4.61	eV per atom
spin magnetization	0.0	μB per cell
space group	Pnma
polymorph energy (0 for the lowest one)	0.00	eV per formula unit

Lattice parameters (Å, degrees): 4.1910 9.1442 10.8098 90.00 90.00 90.00
With the nearest neighbours (Å) after each atom.
Element x y z (fractional)
H1 0.2500 0.8513 0.4188  1 O 0.99
H2 0.7500 0.3513 0.0812  1 O 0.99
H3 0.7500 0.9869 0.6253  1 O 0.98
H4 0.7500 0.1487 0.5812  1 O 0.99
H5 0.7500 0.5131 0.1253  1 O 0.98
H6 0.2500 0.6487 0.9188  1 O 0.99
H7 0.2500 0.4869 0.8747  1 O 0.98
H8 0.2500 0.0131 0.3747  1 O 0.98
Cl1 0.7500 0.1794 0.3786  1 H 2.21
Cl2 0.7500 0.3206 0.8786  1 H 2.21
Cl3 0.2500 0.8206 0.6214  1 H 2.21
Cl4 0.2500 0.6794 0.1214  1 H 2.21
Cl5 0.7500 0.8851 0.8982  3 Sr 2.99-3.13, 3 H 3.02-3.09, 1 O 3.20
Cl6 0.2500 0.1149 0.1018  3 Sr 2.99-3.13, 3 H 3.02-3.09, 1 O 3.20
Cl7 0.2500 0.3851 0.6018  3 Sr 2.99-3.13, 3 H 3.02-3.09, 1 O 3.20
Cl8 0.7500 0.6149 0.3982  3 Sr 2.99-3.13, 3 H 3.02-3.09, 1 O 3.20
O1 0.2500 0.9125 0.3431  2 H 0.98-0.99
O2 0.7500 0.4125 0.1569  2 H 0.98-0.99
O3 0.2500 0.5875 0.8431  2 H 0.98-0.99
O4 0.7500 0.0875 0.6569  2 H 0.98-0.99
Sr1 0.7500 0.5958 0.6873  2 O 2.69, 2 Cl 2.99
Sr2 0.7500 0.9042 0.1873  2 O 2.69, 2 Cl 2.99
Sr3 0.2500 0.0958 0.8127  2 O 2.69, 2 Cl 2.99
Sr4 0.2500 0.4042 0.3127  2 O 2.69, 2 Cl 2.99

---

(2)
Here is crystalline SrHClO at its relaxed geometry from Alexandria via LeMat-Bulk. Energies are from PBE.

Summary:
total DFT energy (no corrections)	-5.10	eV per atom
spin magnetization	0.1	μB per cell
space group	P6_3mc
polymorph energy (0 for the lowest one)	0.00	eV per formula unit

Lattice parameters (Å, degrees): 4.1843 4.1843 10.0723 90.00 90.00 120.00
With the nearest neighbours (Å) after each atom.
Element x y z (fractional)
O1 0.0000 0.0000 0.2633  1 H 0.98
O2 0.0000 0.0000 0.7633  1 H 0.98
H1 0.0000 0.0000 0.3603  1 O 0.98
H2 0.0000 0.0000 0.8603  1 O 0.98
Cl1 0.6667 0.3333 0.5103  3 H 2.85, 4 Sr 3.06-3.15
Cl2 0.3333 0.6667 0.0103  3 H 2.85, 4 Sr 3.06-3.15
Sr1 0.6667 0.3333 0.1972  3 O 2.51
Sr2 0.3333 0.6667 0.6972  3 O 2.51

---

(3)
Here is crystalline SrHClO at its relaxed geometry from Alexandria via LeMat-Bulk. Energies are from PBE.

Summary:
total DFT energy (no corrections)	-5.08	eV per atom
spin magnetization	0.0	μB per cell
space group	Cm
polymorph energy (0 for the lowest one)	0.11	eV per formula unit

Lattice parameters (Å, degrees): 4.1215 4.1218 5.2699 90.08 90.00 120.00
With the nearest neighbours (Å) after each atom.
Element x y z (fractional)
Cl1 0.5715 0.1429 0.4265  3 H 2.90-2.91, 3 Sr 3.02
Sr1 0.9052 0.8104 0.7780  3 O 2.50
H1 0.2390 0.4780 0.1100  1 O 0.98
O1 0.2387 0.4773 0.9246  1 H 0.98

---

(4)
Here is crystalline TaH2ClO at its relaxed geometry from Alexandria via LeMat-Bulk. Energies are from PBE.

Summary:
total DFT energy (no corrections)	-5.52	eV per atom
+++
Back to the entry:

    10-10-26 There's good news and bad news, the divorce lawyer told his client. I could sure use some good news, sighed the client. What's it? Your wife isn't demanding that your future inheritances(遗产,继承) be included in the settlement. And the bad news?...